**To do:**
Please echo the whole of the listing further below character by character.

**File:**
=====
Below is a relaxed CrCuIO2 crystal, with properties calculated at the PBE with a Hubbard U level.

Results
- Polymorph energy (0 for the lowest one): 0.000 eV per atom
- D(E_F): 2.74 states/eV/cell
- Electronic total energy: -25.71 eV for the cell shown
- Magnetization: 2.1 Bohr magnetons per cell
- Volume: 98.8 Å³ per cell

Structure (CIF):
```
data_CrCuIO2
_chemical_formula_sum 'Cr1 Cu1 I1 O2'
_symmetry_space_group_name_H-M 'P 4/m m m'
_symmetry_Int_Tables_number 123
_symmetry_space_group_name_Hall '-P 4 2'
_cell_length_a 3.7202
_cell_length_b 3.7202
_cell_length_c 7.1382
_cell_angle_alpha 90.00
_cell_angle_beta 90.00
_cell_angle_gamma 90.00
loop_
_atom_site_label
_atom_site_type_symbol
_atom_site_fract_x
_atom_site_fract_y
_atom_site_fract_z
Cr1 Cr 0.0000 0.0000 0.0000
Cu1 Cu 0.5000 0.5000 0.5000
I1 I 0.0000 0.0000 0.5000
O1 O 0.0000 0.5000 0.0000
```

----------

Compound: Co8Rh
Source: Alexandria via LeMat-Bulk
Functional: SCAN
Structure: single point on PBEsol structure

Lattice parameters (Å, degrees): 5.5509 5.5509 5.5509 95.70 95.70 143.27
With the nearest neighbours (Å) after each atom.
Sites, in units of the cell vectors:
=====

**Here it is:**
Below is a relaxed CrCuIO2 crystal, with properties calculated at the PBE with a Hubbard U level.

Results
- Polymorph energy (0 for the lowest one): 0.000 eV per atom
- D(E_F): 2.74 states/eV/cell
- Electronic total energy: -25.71 eV for the cell shown
- Magnetization: 2.1 Bohr magnetons per cell
- Volume: 98.8 Å³ per cell

Structure (CIF):
```
data_CrCuIO2
_chemical_formula_sum 'Cr1 Cu1 I1 O2'
_symmetry_space_group_name_H-M 'P 4/m m m'
_symmetry_Int_Tables_number 123
_symmetry_space_group_name_Hall '-P 4 2'
_cell_length_a 3.7202
_cell_length_b 3.7202
_cell_length_c 7.1382
_cell_angle_alpha 90.00
_cell_angle_beta 90.00
_cell_angle_gamma 90.00
loop_
_atom_site_label
_atom_site_type_symbol
_atom_site_fract_x
_atom_site_fract_y
_atom_site_fract_z
Cr1 Cr 0.0000 0.0000 0.0000
Cu1 Cu 0.5000 0.5000 0.5000
I1 I 0.0000 0.0000 0.5000
O1 O 0.0000 0.5000 0.0000
```

----------

Compound: Co8Rh
Source: Alexandria via LeMat-Bulk
Functional: SCAN
Structure: single point on PBEsol structure

Lattice parameters (Å, degrees): 5.5509 5.5509 5.5509 95.70 95.70 143.27
With the nearest neighbours (Å) after each atom.
Sites, in units of the cell vectors: